**Material**
[1]
Formula: C16H26AsNPS5W
Source: the Open Molecules 2025 dataset
Level of theory: wB97M-V/def2-TZVPD

Structure (XYZ):
```
51
C16H26AsNPS5W (wB97M-V/def2-TZVPD)
W 0.1866 0.2559 -0.3227
As -1.2960 -2.1782 1.3460
S 0.0167 -0.3457 1.9138
S -3.2043 -1.9355 2.0869
S -1.1994 -1.4349 -0.9437
S -0.2220 -3.9357 1.4616
S 4.3910 -0.9453 -1.7928
P -1.1631 2.2704 -0.7184
N 2.1907 -0.2658 -0.6812
C -3.0599 1.3064 -2.5723
C 5.1500 1.7580 -1.2859
C 4.2522 0.6967 -1.2242
C -3.7584 1.5210 -0.1533
C -2.0766 4.7789 0.2351
C -0.6916 3.9008 -3.0822
C 3.5521 3.1019 -0.0448
C -0.1135 2.8439 -2.1451
C 3.0101 0.8568 -0.6121
C 4.7757 2.9560 -0.7085
C 2.8022 -1.2681 -1.2551
C -1.2446 3.1394 1.9602
C 0.3514 1.5916 -2.9176
C -2.9205 2.1227 -1.2890
C -1.0865 3.6519 0.5239
C 2.6616 2.0509 0.0224
H 2.3482 -2.2407 -1.3931
H 0.3715 0.6694 -2.2936
H 0.7619 3.2756 -1.6507
H -0.3295 1.3572 -3.7336
H 6.1174 1.6495 -1.7568
H -0.5081 2.3811 2.2108
H 3.3242 4.0382 0.4468
H -2.2311 2.7088 2.1306
H -3.2339 3.1511 -1.4873
H -3.3474 0.5653 0.1831
H -3.1070 4.4499 0.3705
H -2.6294 0.3139 -2.4626
H -3.8293 2.1862 0.7061
H -4.1194 1.1707 -2.7911
H 5.4565 3.7953 -0.7488
H 0.0179 4.0864 -3.8909
H -1.8967 5.5883 0.9428
H -2.6069 1.7947 -3.4347
H 1.3489 1.7317 -3.3341
H -1.6323 3.5793 -3.5284
H -0.0714 4.0505 0.4116
H -0.8583 4.8448 -2.5652
H -1.1218 3.9729 2.6534
H -1.9741 5.1849 -0.7715
H 1.7485 2.1122 0.6200
H -4.7712 1.3295 -0.5080
```

Properties
charge	+1
strongest force on any atom	3.19	eV Å⁻¹
gap between HOMO and LUMO (alpha / beta)	5.8 / 5.8	eV
multiplicity	3
LUMO level (alpha / beta)	-4.57 / -4.66	eV

Results of the Mulliken charge analysis, in e, for atoms 1 through 5: 0.375 0.359 -0.219 -0.332 -0.291

=====

[2]
Formula: C5H6O
Source: the Open Molecules 2025 dataset
Level of theory: wB97M-V/def2-TZVPD

Structure (XYZ):
```
12
C5H6O (wB97M-V/def2-TZVPD)
O -1.5638 1.2214 0.4546
C 1.4725 -0.8902 0.3741
C 0.1952 -0.1347 0.1597
C -0.5047 0.0162 -1.0858
C -1.5431 0.8505 -0.8472
C -0.5074 0.6106 1.0521
H 1.5555 -1.7224 -0.3323
H -0.4031 0.7939 2.1126
H -2.3222 1.2669 -1.4674
H 1.5470 -1.2959 1.3876
H 2.3404 -0.2397 0.2120
H -0.2664 -0.4766 -2.0201
```

Properties
SMILES	Cc1ccoc1
ΔE to the lowest compared entry with this formula, charge and spin	28.9	kJ/mol
strongest force on any atom	0.24	eV Å⁻¹
gap between HOMO and LUMO	9.7	eV
LUMO level	1.08	eV

Results of the Mulliken charge analysis, in e, for atoms 1 through 5: -0.323 -1.137 0.814 -0.524 -0.334

=====

[3]
Formula: C16H47O8
Source: the Open Molecules 2025 dataset
Level of theory: wB97M-V/def2-TZVPD

Structure (XYZ):
```
71
C16H47O8 (wB97M-V/def2-TZVPD)
O -3.0819 -0.3523 -3.4962
O 2.4557 -1.0786 -2.4947
O -2.7822 4.6819 0.2924
O 0.9972 -0.4682 -0.2780
O -0.1660 -3.0541 0.1524
O -2.8344 -2.9312 1.1904
O 3.5811 0.9046 -0.2621
O 2.2379 -0.5441 6.2736
C -3.7989 -1.4991 2.7392
C 5.0951 2.5329 0.7402
C 1.8522 -0.4690 4.9092
C 3.7544 1.8086 0.8019
C -2.0137 3.9384 -0.6540
C -0.8381 4.6487 -1.2711
C 0.2464 0.5425 0.3139
C -0.5635 -5.0052 -1.0405
C -0.5949 -3.4962 -1.1105
C 2.2321 -0.8387 -4.9226
C 0.4140 0.0902 4.6447
C -2.0795 0.1702 -2.6499
C -2.9660 -2.7174 2.5320
C -1.3245 1.1983 -3.5346
C -1.0938 0.1723 1.0357
C 1.5836 -0.5435 -3.4962
H -4.7257 -1.5425 2.1671
H 0.1136 -2.1373 0.1000
H -2.6917 3.6529 -1.4584
H -1.7470 1.0449 1.0246
H -0.0517 1.3265 -0.3822
H -0.9390 0.7598 -4.4551
H 0.6143 1.0237 4.1187
H -1.9448 1.9981 -3.9392
H -0.0899 0.3703 5.5697
H 3.5713 1.3534 1.7752
H 2.9210 2.5029 0.6952
H -1.4959 -2.9572 -1.4034
H -1.5554 3.0631 -0.1936
H 0.2221 -3.1271 -1.7305
H 0.4107 -5.4284 -0.7957
H 2.3913 -1.9156 -4.9768
H -0.2715 3.9524 -1.8894
H 1.5132 -0.5328 -5.6827
H -1.2929 -5.4273 -0.3491
H 0.5811 -0.9638 -3.4167
H -3.4344 -3.5938 2.9800
H -4.0515 -1.4526 3.7985
H -1.9875 -2.6742 3.0103
H 3.2360 -0.4328 -5.0473
H 0.9501 1.0512 0.9728
H 2.5510 0.1466 4.3428
H 2.5716 0.2933 6.6036
H -1.9894 -3.3345 0.9782
H -1.1701 5.5171 -1.8400
H -2.4037 4.7149 1.1740
H 2.0309 -1.3759 4.3316
H 2.0068 -1.0709 -1.6462
**Brief**
Now transcribe only the last part of the lines above, starting with the line that has "9.7".
**Worked solution**
gap between HOMO and LUMO	9.7	eV
LUMO level	1.08	eV

Results of the Mulliken charge analysis, in e, for atoms 1 through 5: -0.323 -1.137 0.814 -0.524 -0.334

=====

[3]
Formula: C16H47O8
Source: the Open Molecules 2025 dataset
Level of theory: wB97M-V/def2-TZVPD

Structure (XYZ):
```
71
C16H47O8 (wB97M-V/def2-TZVPD)
O -3.0819 -0.3523 -3.4962
O 2.4557 -1.0786 -2.4947
O -2.7822 4.6819 0.2924
O 0.9972 -0.4682 -0.2780
O -0.1660 -3.0541 0.1524
O -2.8344 -2.9312 1.1904
O 3.5811 0.9046 -0.2621
O 2.2379 -0.5441 6.2736
C -3.7989 -1.4991 2.7392
C 5.0951 2.5329 0.7402
C 1.8522 -0.4690 4.9092
C 3.7544 1.8086 0.8019
C -2.0137 3.9384 -0.6540
C -0.8381 4.6487 -1.2711
C 0.2464 0.5425 0.3139
C -0.5635 -5.0052 -1.0405
C -0.5949 -3.4962 -1.1105
C 2.2321 -0.8387 -4.9226
C 0.4140 0.0902 4.6447
C -2.0795 0.1702 -2.6499
C -2.9660 -2.7174 2.5320
C -1.3245 1.1983 -3.5346
C -1.0938 0.1723 1.0357
C 1.5836 -0.5435 -3.4962
H -4.7257 -1.5425 2.1671
H 0.1136 -2.1373 0.1000
H -2.6917 3.6529 -1.4584
H -1.7470 1.0449 1.0246
H -0.0517 1.3265 -0.3822
H -0.9390 0.7598 -4.4551
H 0.6143 1.0237 4.1187
H -1.9448 1.9981 -3.9392
H -0.0899 0.3703 5.5697
H 3.5713 1.3534 1.7752
H 2.9210 2.5029 0.6952
H -1.4959 -2.9572 -1.4034
H -1.5554 3.0631 -0.1936
H 0.2221 -3.1271 -1.7305
H 0.4107 -5.4284 -0.7957
H 2.3913 -1.9156 -4.9768
H -0.2715 3.9524 -1.8894
H 1.5132 -0.5328 -5.6827
H -1.2929 -5.4273 -0.3491
H 0.5811 -0.9638 -3.4167
H -3.4344 -3.5938 2.9800
H -4.0515 -1.4526 3.7985
H -1.9875 -2.6742 3.0103
H 3.2360 -0.4328 -5.0473
H 0.9501 1.0512 0.9728
H 2.5510 0.1466 4.3428
H 2.5716 0.2933 6.6036
H -1.9894 -3.3345 0.9782
H -1.1701 5.5171 -1.8400
H -2.4037 4.7149 1.1740
H 2.0309 -1.3759 4.3316
H 2.0068 -1.0709 -1.6462